I don’t meet his crinkled green eyes; I know what it means to be being sent to a home with kids my own age. It’s only the millionth time I’ve been relocated since being dragged off the streets at the young age of ten. I’m sure I’ll be the new punching bag or the maid or some other demeaning position that will slowly eat at my soul until I’m running for the hills again.
The courthouse chambers the judge leads me to are the same ones as last time, the green leather chairs surrounding the elevated platform with his desk and gavel are just as intimidating as they were the first time I saw them. Only this time the very air feels heavy with something akin to power. As though the three people dressed like they’re going to a ball are important somehow. The woman wearing the off-white knee length gown turns to us first, her lips curling up into a smile that makes my spine shiver with fear but as the elder man turns my breath catches in my throat. He looks like an elder version of Parker Walker. Even his eyes hold that same determined blue that took my breath away the first time I saw him up close.
My eyes flit to the last man standing slightly behind them and my knees threaten to give out as he turns to face me.
_Misplaced molecular data_
-- begin --
[1]
Formula: C20H20NO5
Source: the Open Molecules 2025 dataset
Level of theory: the ωB97M-V functional and the def2-TZVPD basis

Summary:
lowest unoccupied orbital energy	1.52	eV
HOMO	-3.285	eV
total charge	-1

Element x y z (Å)
1 O -2.2291 -1.2415 2.0027
2 C -3.4816 1.5513 1.7623
3 H -1.9549 -1.5540 -1.3050
4 H 1.8208 1.8320 -1.4587
5 H 0.0454 -1.1523 1.0914
6 O -2.4379 1.4536 0.7548
7 C -3.8625 -2.1885 0.4946
8 C 1.6072 -1.6246 -3.2150
9 H 2.3776 -1.3170 0.5859
10 C -1.2248 1.3155 1.3487
11 H 1.4487 -1.6863 -4.2915
12 C 2.9020 -1.9027 -2.7304
13 C 3.2961 2.4582 0.0251
14 H -3.5491 0.5784 2.2662
15 C 1.1522 1.4375 0.5935
16 H -3.7626 -2.9041 -0.3296
17 C -0.2742 -1.0782 0.0321
18 C 3.1942 -1.7247 -1.3519
19 C 0.5766 -1.3849 -2.3077
20 O 3.6552 -2.6164 -4.8192
21 H -4.5282 -1.3606 0.1965
22 C 3.6658 2.5033 1.3856
23 C 2.0822 1.9084 -0.3897
24 H -0.5692 1.1612 -0.7269
25 H 0.9603 0.8347 2.6707
26 C -4.7474 1.8926 1.0385
27 H 4.6233 2.9385 1.6994
28 C -2.5174 -1.5989 0.8402
29 H -4.2783 -2.7070 1.3612
30 H 4.2294 -1.8530 -1.0128
31 H -5.6248 1.6885 1.6781
32 O 5.0221 -2.7153 -3.1113
33 C -1.5906 -1.4078 -0.2641
34 C 2.8385 1.8762 2.3338
35 C 0.8074 -1.3775 -0.9181
36 C 1.6126 1.3213 1.9394
37 H -3.2166 2.3320 2.4932
38 H -4.7359 2.9720 0.8008
39 H 3.9900 2.8233 -0.7309
40 H 3.1633 1.7875 3.3718
41 O -1.0784 1.4657 2.5688
42 H -4.8568 1.3281 0.0955
43 H -0.4137 -1.1355 -2.6960
44 N 3.9022 -2.4320 -3.5994
45 C -0.1923 0.9831 0.3011
46 C 2.1531 -1.4799 -0.4735

Cartesian forces, eV/Å:
-0.504 -0.708 -0.483
0.159 -0.209 -0.180
0.389 -0.030 0.918
0.118 0.217 0.614
-0.414 -0.432 -0.667
-0.245 0.105 1.114
-0.238 -0.019 0.019
0.496 -0.639 0.257
-0.174 -0.153 -0.391
0.856 -0.378 0.385
-0.103 0.058 0.338
-1.159 0.565 1.277
0.071 -0.183 0.268
0.195 0.274 -0.019
1.095 -0.113 0.369
-0.144 0.235 0.058
0.514 0.840 1.376
0.053 -0.621 -0.815
0.348 0.223 -0.269
0.088 0.473 2.311
0.051 -0.364 0.085
-0.209 -0.423 -0.128
-0.580 -0.171 0.793
0.303 0.143 0.768
0.366 0.327 -0.337
-0.668 0.542 -0.344
-0.427 -0.157 -0.245
1.546 0.843 -0.745
-0.041 0.163 -0.027
-0.588 0.089 -0.121
0.325 0.108 -0.260
-1.911 0.500 -0.714
-1.698 -1.129 0.213
-0.145 -0.115 -0.728
0.866 1.033 -0.492
0.432 0.405 -0.213
-0.070 -0.403 -0.249
-0.207 -0.436 -0.101
-0.113 0.034 0.150
-0.117 0.103 -0.236
-0.088 -0.079 -1.947
0.074 0.156 0.447
0.306 -0.246 0.203
2.214 -0.772 -1.763
-0.677 0.145 -0.483
-0.344 0.200 -0.007

---

[2]
Formula: C20H21AsGeN3ReS5
Source: the Open Molecules 2025 dataset
Level of theory: the ωB97M-V functional and the def2-TZVPD basis

Summary:
lowest unoccupied orbital energy	-6.69	eV
HOMO	-13.410	eV
total charge	+2

Element x y z (Å)
1 H 1.1982 0.6941 -1.5337
2 Re 0.2772 0.6526 0.9809
3 Ge -0.5416 -2.9672 2.5274
4 S 1.0759 3.8895 4.1510
5 H 4.0156 -1.4518 5.7084
6 N 0.5491 2.5730 -1.4929
7 H 1.4255 -7.5126 2.2015
8 As -0.7189 3.4573 5.5163
9 H 1.4101 -5.1430 2.8814
10 C -1.4226 -6.5343 0.6263
11 C -0.6947 2.8935 -1.1179
12 C 1.8887 -1.6938 5.6482
13 C -2.8694 -2.6273 3.9794
-- stop --
Her posture deflatesand for the first time in two days, I question whether this was a good idea. I convinced my parents to adopt her. To take her into their home the moment I learned she’d just lost the only family she had. It came as quite a shock to learn that she wasn’t blood related but adopted by the school nurse only three months ago. The way they were bantering with each other I was sure they were actually related and had known each other for years.
I put my plan into motion without even considering telling the twins. It’s not in my nature to back down from a challenge and this girl… She’s the first real challenge I’ve had in years. I will make her mine. Even if I have to play dirty to do it. She’ll be cared for, have everything she could possibly want or need and when she least expects it, I’ll sweep her off her feet and make her mine.
The twins will find something new to fight over in no time.
Gabriella Pierson ismine!
As my parents sit down to fill out the paperwork, I inch closer to Gabriella. She watches me warily but doesn’t move. I’m not sure what to say to her; ‘sorry for your loss’ sounds too simple. Apologizing for something that wasn’t my fault is not in my nature anyway. I open and close my mouth a few times, but each thought flittering through my head would only make me sound like more of an ass. Sighing, I step closer and simply rest my hand on her shoulder. Hoping that simple gesture will say everything I’m thinking.
She shrugs me off and goes back to watching my parents and the judge without a word. Defeated, I go back to my spot beside my parents and listen to their conditions on taking Gabriella in.
Push and Pull
My entire worldhas been turned upside down. Not only did the judge agree to the terms the Walker’s laid out, but they demanded that I stay close to Parker’s side, even while at school. They used April’s murder as the reason but I have the feeling it’s got more to do with what Parker wants than any real fear over my safety.
Parker himself drove me from the courthouse to their home. He commanded the staff to collect my belongings from the trunk of his car and place them in the room right next to his. The very room that joins to his via a shared bathroom. The moment my things were dropped inside the room, he grabbed my hand and dragged me back to the car.
Not a single word spoken until we were within sight of the school. “You’re in all my classes, so you’ll stay right beside me the whole day. I’ve already had your things moved from your dorm to mine. I have a private one I share with the twins at the end of the hall. They’ll be shocked but they’ll get over it the moment they know what’s going on.” He hops out of the carbefore I can respond and then pulls this weird sliding move over the bonnet, landing beside my door. I’m so shocked it takes me a few seconds to speak.
“I don’t even know what’s going on.” I grouse as he practically drags me away from the car and through the school grounds. He’s still holding my hand as we rush down the hallway to Brightwood’s class. He pokes his head in the door, changes his grip on my hand so our fingers are linked before tugging me along behind him. He takes over the back two seats and pushes me into the furthest one from any other students.
“You can’t keep dragging me around. I’m not some lost puppy you have to command.” I hiss getting right into his face. Parker’s eyes go wide, focusing on something behind me near the door of the classroom. I start to turn but he grabs my face, keeping me facing him, so close it’d only take a single inch to reach those tantalising lips of his.
It takes longer than I’d like to admit to pull my thoughts away from daydreaming about kissing the asshole in front of me. The second his lips pull up into a smirk, I draw my hand back and clip him up the side of his head as hard as I can. “I’m not your toy. I’m not yours. I’m leaving.”
Next to the article, the page also holds molecular data
=====
(1)
DFT (wB97M-V/def2-TZVPD) results for a structure of composition C65H54N3O6P2Pd at a distorted geometry.

```
131
Properties=species:S:1:pos:R:3:mulliken_charge:R:1
C 5.57686 -5.50318 2.47921 -0.350
C 4.91030 -4.53653 3.25329 -0.725
C 3.52025 -4.44553 3.19137 -0.123
C 2.78108 -5.34837 2.41460 0.478
N 1.39837 -5.28532 2.41955 0.757
C 0.62181 -4.21441 2.64799 -0.739
N -0.63970 -4.70291 2.45914 0.337
C -1.81357 -3.93937 2.28651 0.023
C -1.87604 -2.72992 2.93855 -0.173
C -3.00940 -1.91947 2.79617 -0.571
C -4.05773 -2.33834 1.96005 -0.509
C -3.97434 -3.55553 1.27417 -0.872
C -2.83364 -4.35599 1.43531 -0.022
C -0.58211 -6.11752 2.40619 -0.229
C -1.70034 -7.00850 2.66036 0.404
C -1.60725 -8.31400 2.13811 -0.507
C -2.65564 -9.21307 2.29120 -0.584
C -3.79943 -8.84722 3.01275 -0.371
C -3.88233 -7.57732 3.59713 -0.713
C -2.83390 -6.68080 3.45108 -0.027
N 0.67610 -6.46435 2.26559 -0.747
C 3.44663 -6.34593 1.68567 -0.458
C 4.84451 -6.40084 1.68860 -0.560
H 6.66998 -5.54796 2.48708 0.363
H 5.48484 -3.85639 3.89303 0.360
H 2.93866 -3.72199 3.76068 0.394
H -1.02971 -2.44800 3.56517 0.495
H -3.08182 -0.96826 3.34301 0.383
H -4.95176 -1.70954 1.84960 0.428
H -4.79599 -3.88992 0.62767 0.455
H -2.75259 -5.29899 0.90805 0.612
H -0.70256 -8.56269 1.59260 0.463
H -2.58884 -10.20487 1.83964 0.375
H -4.62867 -9.54520 3.11545 0.383
H -4.77858 -7.28895 4.15184 0.392
H -2.89020 -5.70332 3.92597 0.475
H 2.86193 -7.04332 1.09670 0.415
H 5.36906 -7.13284 1.06075 0.350
C 1.45409 5.77314 -3.50725 -0.738
C 0.55898 5.16685 -4.38557 -0.710
C -0.59517 4.57030 -3.88108 -0.107
C -0.79756 4.56918 -2.51322 -0.309
O -1.91021 3.79971 -2.06270 -0.392
P -1.87713 2.16972 -2.27293 0.971
O -3.36942 1.64427 -1.92561 -0.350
C -4.43512 2.40245 -1.43486 0.514
C -5.59695 2.27382 -2.17362 -0.574
C -6.58307 3.22655 -1.95006 -0.463
C -6.36517 4.18757 -0.95829 -0.687
C -5.21480 4.23053 -0.16632 -0.647
C -4.21969 3.27930 -0.38542 -0.201
O -1.88169 1.95146 -3.91648 -0.069
C -2.64678 1.00891 -4.63492 0.440
C -2.97790 1.31188 -5.94971 -0.591
C -3.85848 0.45453 -6.61783 -0.524
C -4.37145 -0.66303 -5.95760 -0.665
C -3.98887 -0.97585 -4.65264 -1.152
C -3.07269 -0.14279 -4.00389 0.259
Pd -0.49402 1.14769 -0.77526 -0.226
P 1.05018 2.40797 0.41464 0.661
O 2.15986 3.39531 -0.30630 0.055
C 3.04898 4.28269 0.35943 0.394
C 4.34167 4.43859 -0.11559 -0.350
C 5.18835 5.33255 0.56491 -0.653
C 4.73238 6.02988 1.68151 -0.663
C 3.42409 5.87877 2.12539 -0.781
C 2.56688 5.03751 1.41107 0.108
O 0.30392 3.29534 1.58486 0.167
C 0.25075 2.99231 2.96548 0.498
C 0.46629 4.03238 3.86508 -0.594
C 0.65261 3.70859 5.20858 -0.737
C 0.57540 2.37710 5.61052 -0.715
C 0.29292 1.35401 4.69691 -0.688
C 0.08207 1.68328 3.36010 0.188
O 2.01582 1.44972 1.31321 0.261
C 3.41579 1.31530 1.20560 0.224
C 4.09661 1.56830 2.38117 -0.506
C 5.48569 1.64209 2.30784 -0.747
C 6.10680 1.38072 1.08927 -0.663
C 5.39789 1.03487 -0.06054 -0.760
C 4.00583 0.97588 0.00296 0.555
C 0.76135 -0.39118 -1.62313 -0.454
C 0.90214 -0.33168 -3.08624 -0.117
=====
I don’t even get the chance to get to my feet. Something invisible wraps around my entire body, holding me frozen to the seat.
........
11 unconnected molecules or ions with the total composition C36H101N7O15 at a distorted geometry, computed with ωB97M-V/def2-TZVPD.

The geometry in XYZ format:
```
159
Properties=species:S:1:pos:R:3:forces:R:3
C -0.245972 -5.417570 3.316829 -0.75 -0.16 0.77
C -1.618385 -5.355740 2.577672 2.54 0.21 1.21
C -2.197436 -3.941908 2.483062 -0.39 -0.12 -0.23
O -2.317650 -3.269281 3.715435 -0.26 0.28 0.11
C -1.238921 -2.372350 4.017190 -0.46 -1.61 -0.38
N -1.437269 -5.923515 1.267529 -0.28 -1.11 -1.50
H -0.410541 -5.293006 4.396089 0.27 0.87 -0.15
H 0.482228 -4.742173 2.870091 0.15 0.01 0.27
H 0.124841 -6.446789 3.337571 0.08 -0.03 -0.69
H -2.194798 -5.978249 3.267953 -0.84 -0.07 -0.78
H -3.212411 -4.036317 2.091016 -0.02 0.01 -0.14
H -1.628365 -3.332018 1.772556 0.19 -0.13 -0.08
H -1.386676 -2.163024 5.071959 0.42 0.30 0.02
H -1.246763 -1.475842 3.395138 -0.16 0.04 0.07
H -0.347677 -2.967585 3.812237 0.46 0.72 0.47
H -0.789778 -5.457983 0.632504 -0.35 1.15 0.49
H -0.926986 -6.802093 1.302745 -0.59 -0.35 0.58
C -1.881876 -2.736651 -2.903086 -0.58 0.59 0.40
C -1.197284 -4.072836 -2.941530 -0.11 -0.98 -0.93
C 0.055039 -4.109470 -3.847739 -1.32 0.15 1.36
O 0.401877 -5.455992 -4.060488 0.38 -0.18 0.18
C 1.405537 -5.581616 -5.049020 -0.65 -0.47 -0.76
N -0.988007 -4.634291 -1.587771 0.29 0.49 -1.11
H -1.290088 -1.961857 -2.407648 0.07 -0.03 -0.01
H -2.825568 -2.836473 -2.356968 0.18 -0.05 0.32
H -2.233492 -2.349620 -3.862155 0.50 -0.18 -0.26
H -1.871237 -4.755193 -3.479236 -0.13 0.05 -0.08
H 0.854021 -3.551267 -3.348346 0.33 0.17 -0.33
H -0.313164 -3.623237 -4.754374 0.62 0.09 -0.34
H 2.369411 -5.172737 -4.745207 -0.14 0.27 -0.03
H 0.979922 -5.166702 -5.971079 0.60 0.60 -0.04
H 1.568430 -6.619173 -5.348247 -0.16 -0.21 0.72
H -1.922358 -4.882821 -1.275678 0.19 -0.13 0.44
H -0.497904 -5.505667 -1.785950 0.00 -0.09 0.52
C 3.289839 -2.471449 3.985357 0.61 -0.18 -0.10
C 2.658094 -1.332099 4.817949 -0.47 -2.26 0.20
C 1.934170 -0.334825 3.895240 0.49 -0.59 -0.20
O 2.846755 0.249750 2.969404 0.03 0.88 1.41
C 3.848566 1.045057 3.641846 -0.13 -0.75 -0.80
N 1.747809 -2.054041 5.714498 -1.04 0.00 -0.07
H 2.716131 -3.399168 3.959389 -0.66 0.36 0.01
H 4.208745 -2.815974 4.470672 0.28 0.33 -0.33
H 3.462206 -2.168366 2.951228 0.42 0.07 0.21
H 3.481033 -0.951841 5.429824 -0.13 0.96 -0.39
H 1.367566 0.379800 4.500939 0.10 0.37 -0.15
H 1.254949 -0.837092 3.204020 -0.30 -0.39 0.52
H 3.675323 1.184916 4.708408 -0.36 0.10 -0.04
H 3.886121 2.001857 3.125867 0.27 0.08 0.09
H 4.774323 0.474515 3.551427 0.31 0.41 -0.02
H 0.989833 -1.634606 6.229881 0.33 0.66 -0.13
H 2.149316 -2.795625 6.260745 0.31 0.04 -0.10
C -2.504963 1.075041 -4.174996 1.03 0.04 -1.17
C -2.477609 2.429052 -3.442947 0.13 -1.67 0.04
C -3.848101 3.075608 -3.490650 -0.91 -0.22 -0.72
O -4.109840 3.417897 -4.846483 0.65 0.34 -0.51
C -5.434040 3.352220 -5.333645 0.10 -0.04 1.21
N -2.009032 2.219895 -2.062162 0.10 0.69 -0.13
H -1.512832 0.604678 -4.242782 0.17 0.20 0.90
H -2.587602 1.237216 -5.258132 -1.15 -0.08 0.14
........
“You’re not going anywhere without me until we figure out who killed your Aunt and whether or not she was the only target.” He sighs, reaching for my trapped hand. “I don’t care if you hate me for this, so long as you’re safe. I’ll do anything to keep you safe.”
Is he fucking kidding me right now? Keeping me a prisoner for my own good… Talk about overbearing asshole with a thirst for power. No way am I letting him get away with this. I’m not his to toy with.
Splitting the team
Parker disappearedthe same day Gabriella did. Neither Jamie nor I have heard from him in two whole days. We’ve never gone that long without a word from him and I’m starting to worry that Melody might have gotten her claws into him for good this time.
The three of us, Jamie, Parker and I, have been friends for our entire lives, born within days of each other, and growing up literally next door to each other. We developed our powers at the same time, we had our first crushes within days of each other. Everything major in our lives happened as a team. We’d do anything for each other but now, with Parker missing, the new girl Gabriella missing, Melody vanishing and the rumour of a murder on academy grounds, I’m starting to freak out.
I’ve been stumbling through my classes, my mind a complete wreck with worry. My second class of the day is Elemental history and as I’m walking through the door of the classroom, my heart stops. Gabriella and Parker are sitting in the back row, their heads together whispering to each other.
Jealousy like I’ve never felt before stabs through me.
That asshole! He must have kidnapped her for a few days.
I almost wish I’d thought of that. Maybe she’d be looking at me as though the world answered to me if I had. Right now, she’s leaning in so close to Parker, if I couldn’t see his smirking lips, it’d look like they were kissing. My vision narrows down to a single point: his smug face. All I want to do is punch that look right off him. I can’t though. We made a pact, no matter how we feel, that pact will never be broken.